Responsible employer

Fair employer

Fair employer

We belong together, at every workplace, in every plant, in every country. We can all be counted on.

thyssenkrupp also lives through our talent for collaboration. We trust, help, and respect each other in our work – as a matter of principle, and because it makes us more successful. To us values and actions are inseparably linked. We are fair. We do what we say and say what we do. Transparency and consistency are important to us as people, colleagues, and active members of society. We take responsibility – also in times of change.

This is reflected in our good relationship with employee representative bodies and trade unions (as evidenced by the International Framework Agreement of 2015 between thyssenkrupp AG, the Group works council, the metalworkers union IG Metall, and the “IndustriALL Global Union.” The Agreement contains, for example, principles on occupational safety and health, opportunities for professional and personal development, the right to fair pay, the prohibition of child and forced labor, and the prohibition of discrimination of all kinds. And we go further, by monitoring implementation of the Agreement globally: thyssenkrupp has created a central office for reporting suspected infringements, and set up an International Committee with representatives of the Group works council, European works council, and the union, whose remit is to intervene and develop solutions in the event of infringements or disputes.

**Materials data, kept here for reference:**
# Na3Mn2Br3O2
Theoretical powder diffraction line list, Cu Kα (weighted mean of Kα1 and Kα2). Input: a PBE+U-relaxed structure.
Neutral-atom scattering factors, no anomalous dispersion.

Principal peaks in the range 5° ≤ 2θ ≤ 70°, in order of rising 2θ:
24.0°, I = 55, hkl 1 0 3; 28.3°, I = 56, hkl 1 0 5; 29.7°, I = 100, hkl 0 0 8; 30.3°, I = 55, hkl 1 1 0; 31.2°, I = 58, hkl 1 1 2; 33.8°, I = 56, hkl 1 1 4; 37.8°, I = 46, hkl 1 1 6; 42.9°, I = 35, hkl 1 1 8; 43.4°, I = 73, hkl 2 0 0; 53.4°, I = 71, hkl 2 0 8

Structural model:
abc: 4.173 4.173 24.079
angles: 90.00 90.00 90.00
Space group I4/mmm (No. 139)
Unique sites:
Na (0.000, 0.000, 0.000)
Na (0.000, 0.000, 0.373)
Mn (0.000, 0.500, 0.250)
Br (0.000, 0.000, 0.127)
Br (0.000, 0.000, 0.500)
O (0.000, 0.000, 0.272)


(1)
Computed powder diffraction line list
Compound: BaSrNi4O12
Radiation: λ = 1.5418 Å (Cu Kα)
Structure: the GGA+U geometry in Alexandria
Intensities are scaled so that the largest is 100.

Structure:
```
data_BaSrNi4O12
_space_group_name_H-M_alt 'P 4/m m m'
_space_group_IT_number 123
_space_group_name_Hall '-P 4 2'
_cell_length_a 5.551
_cell_length_b 5.551
_cell_length_c 7.792
_cell_angle_alpha 90.00
_cell_angle_beta 90.00
_cell_angle_gamma 90.00
loop_
_atom_site_label
_atom_site_type_symbol
_atom_site_fract_x
_atom_site_fract_y
_atom_site_fract_z
Ba1 Ba 0.000 0.000 0.000
Sr1 Sr 0.500 0.500 0.500
Ni1 Ni 0.000 0.500 0.251
O1 O 0.000 0.500 0.000
O2 O 0.000 0.500 0.500
O3 O 0.256 0.256 0.259
```

The 10 most intense peaks (10° ≤ 2θ ≤ 90°), most intense first:
h k l  2theta  I_rel
1 1 2  32.4  100
1 0 1  19.6  99
2 0 0  32.3  51
2 2 0  46.3  46
3 1 2  57.6  39
2 1 1  38.0  36
2 2 4  67.8  26
0 0 4  46.6  22
2 0 4  57.8  19
1 0 3  38.3  18

(2)
Computed powder diffraction line list
Compound: Ba2TlNiO4
Radiation: λ = 1.5418 Å (Cu Kα)
Structure: the GGA+U geometry in Alexandria
Intensities are scaled so that the largest is 100.

Structure:
```
data_Ba2TlNiO4
_space_group_name_H-M_alt 'C 1 2/c 1'
_space_group_IT_number 15
_cell_length_a 10.243
_cell_length_b 9.581
_cell_length_c 7.871
_cell_angle_alpha 90.00
_cell_angle_beta 127.33
_cell_angle_gamma 90.00
loop_
_space_group_symop_operation_xyz
'x,y,z'
'-x,-y,-z'
'-x,y,-z+1/2'
'x,-y,z+1/2'
'x+1/2,y+1/2,z'
'-x+1/2,-y+1/2,-z'
'-x+1/2,y+1/2,-z+1/2'
'x+1/2,-y+1/2,z+1/2'
loop_
_atom_site_label
_atom_site_type_symbol
_atom_site_fract_x
_atom_site_fract_y
_atom_site_fract_z
Ba1 Ba 0.000 0.000 0.000
Ba2 Ba 0.250 0.250 0.000
Tl1 Tl 0.000 0.500 0.000
Ni1 Ni 0.250 0.250 0.500
O1 O 0.056 0.259 0.574
O2 O 0.230 0.048 0.452
```

The 10 most intense peaks (10° ≤ 2θ ≤ 90°), most intense first:
h k l  2theta  I_rel
2 2 0  28.8  100
2 2 -2  29.7  89
0 0 2  28.5  76
4 0 -2  35.1  46
0 4 0  37.5  36
0 4 2  47.8  34
4 4 -2  52.3  27
2 2 2  50.1  25
4 0 0  44.5  25
2 2 -4  51.9  22

(3)
Computed powder diffraction line list
Compound: Ba2YTlNi2O7
Radiation: λ = 1.5418 Å (Cu Kα)
Structure: the GGA+U geometry in Alexandria



We foster our relationships

What comes next are materials data, not part of the article =
+++
Structure and theoretical XRD peak list of V3IrO9 (DFT lattice parameters and positions (GGA+U); Cu Kα).

Most intense lines, 2θ from 10° to 90°, in order of rising 2θ:
| 2θ (°) | d (Å) | intensity | hkl |
| --- | --- | --- | --- |
| 15.24 | 5.815 | 84 | 1 1 -1 |
| 17.45 | 5.081 | 23 | 2 0 -2 |
| 20.65 | 4.300 | 100 | 1 1 1 |
| 22.55 | 3.944 | 16 | 3 1 -1 |
| 23.73 | 3.749 | 22 | 3 1 -2 |
| 24.96 | 3.567 | 18 | 4 0 -2 |
| 29.22 | 3.057 | 27 | 3 1 -3 |
| 29.51 | 3.027 | 24 | 2 2 0 |
| 33.25 | 2.695 | 27 | 0 2 2 |
| 35.71 | 2.514 | 22 | 5 1 -1 |

```
data_V3IrO9
_symmetry_space_group_name_H-M 'C 1 c 1'
_symmetry_Int_Tables_number 9
_symmetry_space_group_name_Hall 'C -2yc'
_cell_length_a 14.4008
_cell_length_b 7.0921
_cell_length_c 10.2802
_cell_angle_alpha 90.00
_cell_angle_beta 126.20
_cell_angle_gamma 90.00
loop_
_atom_site_label
_atom_site_type_symbol
_atom_site_fract_x
_atom_site_fract_y
_atom_site_fract_z
_atom_site_occupancy
V1 V 0.0000 0.0260 0.0000 1
V2 V 0.1223 0.4008 0.9311 1
V3 V 0.3779 0.0996 0.5692 1
Ir1 Ir 0.2501 0.2498 0.7502 1
O1 O 0.0003 0.4993 0.2502 1
O2 O 0.0709 0.1755 0.9432 1
O3 O 0.1052 0.1064 0.6589 1
O4 O 0.1633 0.4577 0.5920 1
O5 O 0.2292 0.3719 0.9068 1
O6 O 0.2710 0.1276 0.5935 1
O7 O 0.3371 0.0418 0.9084 1
O8 O 0.3952 0.3928 0.8414 1
O9 O 0.4286 0.3255 0.5565 1
```

~~~~~

Structure and calculated PXRD pattern of La4Ge2H (a cell relaxed with PBE; Cu Kα (weighted mean of Kα1 and Kα2)).
No peak broadening, texture or thermal motion is included.

Structural model:
```
La4Ge2H
1.0
6.688 0.000 0.000
0.000 6.716 0.000
-3.006 0.000 8.475
La Ge H
8 4 2
Direct
0.011 0.012 0.262
0.011 0.488 0.262
0.413 0.250 0.086
0.427 0.250 0.623
0.573 0.750 0.377
0.587 0.750 0.914
0.989 0.512 0.738
0.989 0.988 0.738
0.216 0.750 0.054
0.262 0.750 0.567
0.738 0.250 0.433
0.784 0.250 0.946
0.239 0.250 0.808
0.761 0.750 0.192
```

Largest 10 diffraction maxima, most intense first, 2θ from 10° to 80°:
d/Å	2θ/deg	I_rel	index
3.070	29.09	100	2 0 -2
2.631	34.08	88	1 2 -2
2.964	30.16	77	1 2 0
2.792	32.06	51	2 1 -2
2.248	40.11	32	1 0 -4
1.791	50.99	31	2 2 -4
1.840	49.55	25	3 2 -2
3.582	24.86	24	1 1 -2
1.473	63.12	21	2 4 -2
2.853	31.35	17	2 1 0

~~~~~

Calculated powder X-ray diffraction pattern
Compound: Cr2O3
Radiation: Cu Kα (weighted mean of Kα1 and Kα2)
Structure: the PBE+U geometry in the Materials Project
Kinematic intensities with the Lorentz-polarization factor, no thermal factor.

Atomic structure:
```
data_Cr2O3
_cell_length_a 9.676
_cell_length_b 6.230
_cell_length_c 5.252
_cell_angle_alpha 90.00
_cell_angle_beta 115.55
_cell_angle_gamma 90.00
_space_group_name_H-M_alt 'C 1 2/c 1'
_space_group_IT_number 15
loop_
_space_group_symop_operation_xyz
'x,y,z'
'-x,-y,-z'
'-x,y,-z+1/2'
'x,-y,z+1/2'
'x+1/2,y+1/2,z'
'-x+1/2,-y+1/2,-z'
'-x+1/2,y+1/2,-z+1/2'
'x+1/2,-y+1/2,z+1/2'
loop_
_atom_site_label
_atom_site_type_symbol
_atom_site_fract_x
_atom_site_fract_y
_atom_site_fract_z
Cr1 Cr 0.150 0.110 0.069
O1 O 0.000 0.076 0.250
O2 O 0.235 0.393 0.163
```
+++

For thyssenkrupp close and trusting cooperation with the employee representatives is a must. The basis for mutual trust and support is an open and constructive dialogue characterized by mutual respect.

For thyssenkrupp close and trusting cooperation with the employee representatives is a must.

In Germany the system of codetermination allowing employees to participate in corporate decisions is subject to the Works Constitution Act. At thyssenkrupp it is practiced on two levels. In the Group companies, employee interests are represented by the local works councils and joint works councils. The works council/joint works council and the management jointly negotiate appropriate tailored solutions for the company. At Group level we maintain an active social partnership with the Group works council (GWC). The GWC holds monthly meetings, which are regularly attended by the CHRO and appropriate further decision-makers. In addition we discuss various topics with the relevant specialist committees of the GWC and jointly develop Groupwide agreements and policies.

Beyond the requirements of the Works Constitution Act, we have also set up works council unions at business area level, whose members we keep up to date on matters relating to the relevant business area.

_Unrelated to this piece: materials data_
+++
Diffraction record for Ca2La2Cu3O8. The powder diffractogram is calculated, not measured: it uses a crystal structure in the Materials Project, relaxed with PBE and Cu Kα X-rays.
Lines closer than 0.1° are merged.

Cell and atoms:
```
Ca2La2Cu3O8
1.0
-1.953 1.953 13.189
1.953 -1.953 13.189
1.953 1.953 -13.189
Ca La Cu O
2 2 3 8
direct
0.204 0.204 0.000 Ca
0.796 0.796 0.000 Ca
0.069 0.069 0.000 La
0.931 0.931 0.000 La
0.363 0.363 0.000 Cu
0.500 0.500 0.000 Cu
0.637 0.637 0.000 Cu
0.000 0.500 0.500 O
0.123 0.623 0.500 O
0.286 0.286 0.000 O
0.377 0.877 0.500 O
0.500 0.000 0.500 O
0.623 0.123 0.500 O
0.714 0.714 0.000 O
0.877 0.377 0.500 O
```

Most intense lines, 10° ≤ 2θ ≤ 90°, low angle first:
2θ (°), Rel. int.
32.42, 49
33.03, 100
38.41, 22
46.50, 33
58.21, 38
59.38, 18

Diffraction record for Sr4CaLaTl2Cu4O14. The powder diffractogram is calculated, not measured: it uses a crystal structure in the Materials Project, relaxed with PBE and Cu Kα X-rays.
Lines closer than 0.1° are merged.

Cell and atoms:
```
Sr4CaLaTl2Cu4O14
1.0
-2.713 2.713 12.317
2.713 -2.713 12.317
2.713 2.713 -12.317
Sr Ca La Tl Cu O
4 1 1 2 4 14
direct
0.146 0.146 0.000 Sr
0.352 0.352 0.000 Sr
0.648 0.648 0.000 Sr
0.854 0.854 0.000 Sr
0.000 0.000 0.000 Ca
0.500 0.500 0.000 La
0.250 0.750 0.500 Tl
0.750 0.250 0.500 Tl
0.072 0.572 0.500 Cu
0.428 0.928 0.500 Cu
0.572 0.072 0.500 Cu
0.928 0.428 0.500 Cu
0.164 0.664 0.500 O
0.184 0.184 0.497 O
0.184 0.687 0.000 O
0.250 0.250 0.000 O
0.313 0.313 0.497 O
0.313 0.816 0.000 O
0.336 0.836 0.500 O
0.664 0.164 0.500 O
0.687 0.184 0.000 O
0.687 0.687 0.503 O
0.750 0.750 0.000 O
0.816 0.313 0.000 O
0.816 0.816 0.503 O
0.836 0.336 0.500 O
```

Most intense lines, 10° ≤ 2θ ≤ 90°, low angle first:
2θ (°), Rel. int.
24.30, 19
27.39, 22
31.93, 100
33.02, 64
47.39, 34
58.29, 37

Diffraction record for CaMg14Cu. The powder diffractogram is calculated, not measured: it uses a crystal structure in the Materials Project, relaxed with PBE and Cu Kα X-rays.
Lines closer than 0.1° are merged.

Cell and atoms:
```
CaMg14Cu
1.0
6.424 0.000 0.000
-3.212 5.564 0.000
0.000 0.000 10.320
Ca Mg Cu
1 14 1
direct
0.000 0.000 0.000 Ca
0.010 0.505 0.000 Mg
0.164 0.328 0.267 Mg
0.164 0.328 0.733 Mg
0.164 0.836 0.267 Mg
0.164 0.836 0.733 Mg
0.495 0.505 0.000 Mg
0.495 0.990 0.000 Mg
0.502 0.005 0.500 Mg
0.502 0.498 0.500 Mg
0.667 0.333 0.244 Mg
0.667 0.333 0.756 Mg
0.672 0.836 0.267 Mg
0.672 0.836 0.733 Mg
0.995 0.498 0.500 Mg
0.000 0.000 0.500 Cu
```

Most intense lines, 10° ≤ 2θ ≤ 90°, low angle first:
2θ (°), Rel. int.
32.18, 26
34.77, 25
36.70, 100
57.37, 17
63.60, 16
68.86, 18

Diffraction record for CaMg14Cu. The powder diffractogram is calculated, not measured: it uses a crystal structure in the Materials Project, relaxed with PBE and Cu Kα X-rays.
Lines closer than 0.1° are merged.

Cell and atoms:
```
CaMg14Cu
1.0
10.341 0.000 0.000
0.000 3.171 5.593
0.000 -3.171 5.593
Ca Mg Cu
1 14 1
direct
0.000 0.000 0.000 Ca
0.000 0.014 0.489 Mg
0.000 0.489 0.014 Mg
+++

Codetermination is practiced in such a way that employee interests are represented on the Supervisory Board of thyssenkrupp AG by ten employee representatives (one of whom represents the executive employees) in accordance with the statutory requirements. This means that half of the members of the Supervisory Board are employee representatives (the other ten members are shareholder representatives).

The European works council (EWC) is the body responsible for promoting social dialogue and representing the interests of employees at European level. It is the mouthpiece for thyssenkrupp’s European employees. Based on the “Agreement on European Dialogue and the Provision of Information to and Consultation with the Employees of the European Group Member Companies” we inform the EWC in advance of significant operational changes with cross-national significance. Two meetings of the EWC and four meetings of the EWC executive committee take place each year. Members of the Executive Board regularly attend meetings of the EWC and are available to answer questions and participate in discussions.

To us values and actions are inseparably linked. We are fair. We do what we say and say what we do.